# High Availability

You can run a cluster of Typesense nodes for high availability. Typesense uses the Raft consensus algorithm to manage the cluster and recover from node failures.

In cluster mode, Typesense will automatically replicate your entire dataset to all nodes in the cluster, automatically and continuously. Read and write API calls can be sent to any nodes in the cluster - read API calls will be served by the node that receives it, write API calls are automatically forwarded to the leader of the cluster internally.

Since Raft requires a quorum for consensus, you need to run a minimum of 3 nodes to tolerate a 1-node failure. Running a 5-node cluster will tolerate failures of up to 2 nodes, but at the expense of slightly higher write latencies.

## Molecular data, as found in the file
- - -
Entry 1:
C22H31BCaN6O as an isolated structure in a non-equilibrium geometry, computed with ωB97M-V/def2-TZVPD.

The geometry in XYZ format:
```
62
Properties=species:S:1:pos:R:3:forces:R:3:nbo_charge:R:1
H -0.6317 3.5679 0.7416 -0.2 -0.1 -0.1 0.2621
N -0.2887 1.9945 -0.6627 0.3 0.9 -0.4 -0.2925
B 0.5513 0.6067 -2.7654 0.0 -1.7 0.3 0.5512
N 0.3780 1.8807 -1.8580 -0.1 0.6 0.3 -0.2650
C 0.9050 3.0850 -2.1287 -0.6 -0.5 0.5 0.0790
Ca -1.0776 -0.9549 -0.0061 1.8 -2.9 7.8 1.6671
H 1.4881 3.2491 -3.0225 0.0 -0.2 0.1 0.2480
C 0.5385 3.9764 -1.1289 0.0 0.4 0.4 -0.3277
H 0.7745 5.0241 -1.0757 0.1 0.0 0.0 0.2530
C -0.2175 3.2707 -0.2091 0.7 -0.5 -0.9 0.0442
H 1.0413 0.9083 -3.8075 0.0 0.3 -0.1 -0.0248
C -1.1331 -3.3528 0.0667 -0.3 0.7 -0.3 -1.3451
H -0.9801 -3.6997 1.0909 -0.1 -0.2 -0.2 0.1980
H -0.3133 -3.6414 -0.6005 -0.1 -0.3 0.1 0.1842
H -2.0964 -3.6709 -0.3441 0.1 -0.5 0.1 0.1772
N -0.8612 -0.0139 -2.9753 -1.3 -0.4 1.4 -0.3223
N 1.4535 -0.4763 -2.0870 -0.4 -0.1 1.0 -0.3465
N -1.5648 -0.4408 -1.8263 -2.0 1.9 -7.8 -0.5395
N 1.1229 -0.9942 -0.8442 1.5 0.0 -0.6 -0.4179
C -1.6095 -0.2245 -4.0658 -0.1 -0.1 0.6 0.0428
C 2.5883 -1.0480 -2.5272 0.2 -0.3 0.4 -0.0042
H -1.2078 0.0308 -5.0364 -0.2 0.0 0.0 0.2310
H 3.0034 -0.7664 -3.4857 0.0 -0.1 0.1 0.2182
C -2.8326 -0.7922 -3.6840 0.4 0.1 0.2 -0.3450
C 3.0419 -1.9491 -1.5645 -0.5 0.5 0.0 -0.3523
C -2.7629 -0.9241 -2.2927 1.5 0.9 -0.3 -0.0008
C 2.1022 -1.8741 -0.5142 -0.6 1.0 -1.1 0.0050
H -3.6594 -1.0584 -4.3213 0.1 -0.1 0.0 0.2438
H 3.9270 -2.5548 -1.5964 0.1 -0.1 -0.1 0.2344
H -3.4990 -1.3135 -1.6002 0.1 0.0 -0.1 0.2321
H 2.1103 -2.3967 0.4415 -0.3 0.2 -0.4 0.2399
H -1.0401 1.3710 -0.3908 0.4 0.0 -0.4 0.4165
C -2.0110 2.6232 3.2531 -0.1 -0.1 -0.1 -0.6005
C -0.5879 2.0779 3.2024 0.0 -0.4 0.2 -0.2274
C 0.4260 3.1559 3.5707 0.1 -0.1 0.0 -0.5988
C -0.4414 0.8443 4.0812 -0.1 -0.5 -0.4 -0.1309
C -0.5606 0.9291 5.4607 0.2 -0.3 0.1 -0.2099
C -0.3971 -0.2102 6.2524 -0.1 0.1 0.5 -0.2854
C -0.0359 -1.4244 5.6643 0.2 0.3 0.0 -0.2318
C 0.0868 -1.5513 4.2898 -0.1 0.3 -0.4 -0.0261
C 0.5563 -2.8680 3.6807 -0.2 0.2 0.1 -0.2686
C 2.0015 -3.1887 4.0764 0.1 0.1 -0.1 -0.5960
C -0.3502 -4.0291 4.0918 -0.1 -0.1 -0.2 -0.5966
C -0.2742 -0.4378 3.4561 -0.1 0.2 1.0 0.3648
O -0.4877 -0.5801 2.1903 0.0 0.1 -1.6 -0.9498
H -2.2372 3.0057 4.2578 0.0 0.0 -0.3 0.2113
H -2.7288 1.8301 3.0091 0.1 0.2 0.1 0.2139
H -2.1341 3.4356 2.5267 -0.1 0.1 0.1 0.1713
H -0.3825 1.7553 2.1752 0.0 -0.1 0.1 0.1888
H 0.2218 3.5600 4.5708 0.1 0.0 -0.2 0.2071
H 1.4398 2.7385 3.5626 -0.2 0.1 0.1 0.2203
H 0.3907 3.9759 2.8436 0.0 0.1 0.1 0.1750
H -0.7892 1.9016 5.9129 0.1 -0.4 0.0 0.1916
H -0.5366 -0.1508 7.3352 0.1 0.0 -0.3 0.1993
H 0.1707 -2.3042 6.2824 -0.1 0.4 -0.1 0.1984
H 0.5120 -2.7565 2.5911 -0.1 0.0 0.2 0.2250
H 2.0955 -3.3202 5.1625 0.0 0.0 -0.2 0.1983
H 2.3276 -4.1167 3.5928 0.0 0.1 0.1 0.1977
H 2.6810 -2.3852 3.7702 -0.1 -0.1 0.1 0.2051
H -1.3930 -3.8211 3.8248 0.2 -0.1 0.1 0.2143
H -0.0377 -4.9483 3.5816 -0.1 0.1 0.1 0.2023
- - -
## The molecular data stop here

# High Availability in Typesense Cloud

In Typesense Cloud (opens new window), we manage High Availability for you.

When you flip the setting ON when launching a cluster, you'll see a special Load Balanced endpoint in addition to the individual hostnames*, in your cluster dashboard:

Typesense Cloud HA Hostnames

Requests sent to the Load-Balanced endpoint are distributed between all the 3 nodes in the cluster. If a particular node has an infrastructure issue, or is inaccessible for any reason, it is automatically quarantined and traffic is re-routed to the other healthy nodes.


You will only see the Load Balanced endpoint for HA clusters provisioned after June 16, 2022.

For HA clusters provisioned before June 16, 2022, you will only see the individual hostnames. Health-checking and traffic re-routing are done client-side in our official client libraries. See Client Configuration below. If you'd like to enable server-side load-balancing for your existing clusters, please reach out to us at support at typesense d0t org with your Cluster ID.

# High Availability when Self-Hosting Typesense

# Configuring a Typesense cluster

To start a Typesense node as part of a cluster, create a new file on each node that's part of the cluster with the following format, and use the --nodes server configuration to point to the file.

Each node definition in the file should be in the following format, separated by commas:


peering_address, peering_port and api_port should match the corresponding Server Configuration Parameters used when starting the Typesense process on each node.

All nodes in the cluster should have the same bootstrap --api-key for security purposes.

# Nodes File Example

Here's an example of a --nodes file for a 3-node cluster:

In the example above

  • The peering_address (the IP address used for cluster operations) is 192.168.12.x
  • The peering_port (the port used for cluster operations) is 8107
  • The api_port (the actual port to which clients connect to) is 8108

Here's the corresponding command to start the Typesense process on each node:


  • --peering-address should be a Private IP address, since it is only meant for internal cluster operations and contains unencrypted Raft data that is exchanged between nodes.

  • --api-address can be a public or private IP address. This is the IP address that your end users/clients will connect to interact with the Typesense API.

  • We strongly recommend setting --api-port to 443 (HTTPS) in a production setting, and configuring SSL certs using the --ssl-certificate and --ssl-certificate-key server parameters.


If you are using Docker, make sure that you've configured the Docker network in such a way that the Typesense process within the Docker container can communicate with the other Typesense processes using their IP addresses. Read more about Docker Networking (opens new window).

# Verifying Cluster Formation

Once you've setup all the nodes in a cluster, you can verify that they've successfully formed a cluster by sending a GET request to the /debug endpoint of each node:

curl "http://${TYPESENSE_HOST}/debug/" \

On one of the nodes you should see the following response:

  "state": 1,
  "version": "x.x.x"

where state: 1 indicates that this is the node that was elected to be the leader.

All the other nodes should return a response of:

  "state": 4,
  "version": "x.x.x"

where state: 4 indicates that the node was selected to be a follower.

If you see state: 1 on more than one node, that indicates that the cluster was not formed properly. Check the Typesense logs (usually in /var/log/typesense/typesense.log) for more diagnostic information. Ensure that the nodes can talk to each other on the ports you've configured as the HTTP port and the Peering port.

If you see a value other than state: 4 or state: 1 that indicates an error. Check the Typesense logs (usually in /var/log/typesense/typesense.log) for more diagnostic information.

# Recovering a cluster that has lost quorum

_Calculated molecules, as found in the file_
C4H7I2N | ωB97M-V/def2-TZVPD

Each line ends with the Löwdin charge.
Element x y z (Å)
C (0.33, 0.20, 0.25)  -0.18
C (-0.08, -0.23, 1.45)  -0.33
C (-0.33, -0.20, -2.20)  -0.07
C (0.57, -0.62, -0.98)  -0.20
N (-0.58, 0.67, 2.55)  -1.03
I (-0.76, 2.63, 2.19)  0.76
I (0.52, 0.31, 4.33)  0.51
H (0.55, 1.21, 0.15)  0.02
H (-0.51, -1.23, 1.84)  0.13
H (-0.21, 0.75, -2.55)  0.03
H (-0.03, -0.81, -3.05)  0.08
H (-1.35, -0.30, -2.18)  0.04
H (1.64, -0.67, -1.07)  0.10
H (0.23, -1.71, -0.72)  0.14

* energy above the lowest of the compared OMol25 structures with the same formula, charge and spin: 0.0 kcal/mol
* spin multiplicity: 3
* expectation value of S²: 2.02
* lowest unoccupied orbital energy (spin up / spin down): -0.0026 / -0.1006 Ha
* HOMO (spin up / spin down): -6.6 / -8.8 eV

C44H36BrNO4P2STl | ωB97M-V/def2-TZVPD

Each line ends with the Löwdin charge.
Element x y z (Å)
Tl (-2.37, -2.08, -1.46)  0.72
O (-9.18, -0.64, 0.24)  0.10
C (-7.88, -0.71, -0.05)  -0.31
C (-7.07, 0.39, -0.31)  0.01
C (-5.74, 0.18, -0.60)  -0.13
N (-5.17, -1.02, -0.64)  -0.02
C (-5.95, -2.05, -0.38)  -0.73
Br (-5.11, -3.75, -0.42)  0.74
C (-7.29, -1.98, -0.08)  -0.03
H (-9.49, 0.28, 0.22)  0.12
H (-7.48, 1.40, -0.28)  0.12
H (-5.08, 1.01, -0.81)  0.11
H (-7.89, -2.86, 0.12)  0.12
C (5.12, 2.82, 0.69)  -0.01
C (4.28, 2.28, -0.48)  -0.43
C (4.86, 2.74, -1.82)  -0.01
C (4.29, 0.76, -0.44)  -0.09
C (5.48, 0.05, -0.53)  -0.01
C (5.51, -1.33, -0.50)  -0.06
C (4.33, -2.05, -0.39)  -0.08
C (3.12, -1.38, -0.30)  -0.26
P (1.48, -2.21, -0.09)  1.14
C (1.72, -2.69, 1.67)  -0.36
C (2.08, -3.96, 2.10)  -0.10
C (2.20, -4.23, 3.45)  -0.07
C (1.97, -3.22, 4.38)  -0.08
C (1.64, -1.95, 3.95)  -0.07
C (1.51, -1.68, 2.60)  -0.08
C (1.58, -3.62, -1.18)  -0.35
C (0.61, -4.70, -0.97)  -0.73
C (0.36, -5.60, -2.09)  -0.05
C (1.06, -5.49, -3.25)  -0.06
C (1.98, -4.43, -3.42)  -0.01
C (2.22, -3.52, -2.41)  -0.08
C (3.12, 0.02, -0.30)  -0.17
O (1.88, 0.60, -0.14)  0.00
C (1.77, 1.96, -0.13)  -0.15
C (0.48, 2.48, 0.08)  -0.18
C (0.28, 3.85, 0.00)  -0.08
C (1.34, 4.70, -0.25)  -0.05
C (2.61, 4.18, -0.40)  -0.01
C (2.85, 2.81, -0.34)  -0.09
P (-1.01, 1.41, 0.29)  0.92
C (-1.74, 1.79, -1.32)  -0.27
C (-1.28, 1.06, -2.41)  -0.12
C (-1.70, 1.37, -3.69)  -0.06
C (-2.56, 2.45, -3.89)  -0.07
C (-3.01, 3.18, -2.81)  -0.07
C (-2.61, 2.86, -1.52)  -0.08
C (-1.76, 1.98, 1.84)  -0.24
C (-0.99, 2.73, 2.73)  -0.07
C (-1.50, 3.07, 3.97)  -0.06
C (-2.79, 2.68, 4.32)  -0.06
C (-3.56, 1.94, 3.43)  -0.06
C (-3.05, 1.59, 2.20)  -0.06
H (6.15, 2.47, 0.62)  0.08
H (4.71, 2.48, 1.64)  0.10
H (5.13, 3.91, 0.69)  0.09
H (5.88, 2.38, -1.95)  0.08
H (4.88, 3.83, -1.89)  0.08
H (4.25, 2.37, -2.65)  0.10
H (6.41, 0.60, -0.63)  0.12
H (6.46, -1.85, -0.56)  0.11
H (4.35, -3.13, -0.37)  0.11
H (2.27, -4.76, 1.39)  0.10
H (2.46, -5.22, 3.78)  0.11
H (2.03, -3.44, 5.44)  0.11
H (1.47, -1.15, 4.67)  0.11
H (1.23, -0.69, 2.26)  0.09
H (0.98, -5.36, -0.16)  0.11
H (-0.37, -6.38, -1.94)  0.12
H (0.89, -6.19, -4.06)  0.11

A Typesense cluster with N nodes can tolerate a failure of at most (N-1)/2 nodes without affecting reads or writes.

So for example:

  • A 3 node cluster can handle a loss of 1 node.
  • A 5 node cluster can handle a loss of 2 nodes.

If a Typesense cluster loses more than (N-1)/2 nodes at the same time, the cluster becomes unstable because it loses quorum and the remaining node(s) cannot safely build consensus on which node is the leader. To avoid a potential split brain issue, Typesense then stops accepting writes and reads until some manual verification and intervention is done.

To recover a cluster in this state:

  1. Force one of the nodes to become a single-node cluster by editing its nodes file to contain just its own IP address. You don't have to restart the Typesense process, since changes to the node file are automatically picked up within 30s.
  2. Once this node returns ok when you call /health, edit the nodes file and then add back another node in the cluster, and wait for it to catch up with the new leader.
  3. Repeat Step 2 for each node until the cluster is healthy again.

# Client Configuration

# When deployed without a load balancer

Typesense clients allow you to specify one or more nodes during client initialization. So you can specify the individual hostnames in the cluster when instantiating the client library, and it will load balance reads & writes across all nodes and will automatically strive to recover from transient failures through built-in retries.

Here's a sample 3-node client configuration:

# When using Typesense Cloud or a Load Balancer

If you use Typesense Cloud (with load-balancing enabled on your cluster, which is enabled by default for all clusters provisioned after June 16, 2022), or if you choose to set up a server-side load-balancer for convenience, you want to specify the load-balanced endpoint where all requests are routed to by default, by the client.

In Typesense Cloud, you also want to specify the individual hostnames in addition - these are used as fallback nodes by the client, in case the load-balanced endpoint hits a stale node that is currently in a "connection-draining" status just as a node rotation happens (lasts 30s per node rotation, for eg during a configuration change or infrastructure update).

Here xxx.a1.typesense.net is a Load Balanced endpoint.

Last Updated: 7/1/2024, 5:36:22 PM